Activity:
Filter the notes further below: keep the lines with the word "compared", please.
Material:
{"formula": "C6H4CeO6", "method": "the ωB97M-V functional and the def2-TZVPD basis", "species": ["H", "O", "H", "C", "O", "O", "O", "C", "C", "C", "O", "H", "Ce", "C", "C", "H", "O"], "positions_angstrom": [[2.1059, 1.5921, -0.0370], [-1.5208, 0.8590, 2.7675], [2.3382, 0.1102, -1.0634], [2.3860, 0.5176, -0.0351], [1.5573, -0.2272, 0.8172], [-4.4730, -0.3903, -1.2376], [-0.7941, -3.0761, 1.1207], [-0.7800, -2.0038, 0.7003], [-0.0476, -0.8862, -1.6473], [-1.2338, 0.4531, 1.7284], [-0.3483, 2.6492, -0.9941], [1.5448, 0.2589, 1.6820], [-0.6545, -0.2170, 0.0358], [-0.5018, 1.5707, -0.6200], [-3.3977, -0.3416, -0.8790], [3.4400, 0.4178, 0.3010], [0.3794, -1.2863, -2.6396]], "forces_ev_per_angstrom": [[0.3, -0.5, 0.0], [0.9, -1.3, -3.2], [0.0, 0.1, 0.5], [2.2, 1.5, -1.8], [-2.1, 0.1, 2.4], [2.9, 0.1, 1.0], [0.1, 3.5, -1.4], [-1.1, -17.0, 6.4], [5.7, -6.4, -16.0], [-5.4, 6.4, 15.9], [-0.5, -3.4, 1.2], [0.7, -0.9, -0.2], [-0.5, -0.2, -0.6], [1.4, 16.8, -6.1], [-2.9, -0.1, -1.0], [-0.5, 0.1, -0.3], [-1.3, 1.3, 3.2]], "lumo_ev": [-16.5, -17.6], "total_charge": 3, "s_squared": 0.769, "largest_force_ha_per_bohr": 0.353, "multiplicity": 2, "gap_ha": [0.2600, 0.2518], "mol_weight_g_mol": 312.21, "e_tot_ha": -1155.7047}

=====

The following is a quantum chemistry calculation of a structure of composition C11H40FeN20O13, from the OMol25 dataset.

The expectation value of S² is 6.008. The HOMO energy (alpha / beta) comes out at -9.004 / -9.005 eV. For the energy relative to the best compared isomer or geometry (same formula, charge and spin), the calculation gives 0.000 eV.

ORCA input file:
```
! RIJCOSX wB97M-V def2-TZVPD def2/J DEFGRID3
* xyz 0 5
Fe 2.34771 -0.30480 -0.28021
C -0.07931 0.13938 0.38694
O 0.49576 0.49002 -0.64159
O 0.67321 -0.55243 1.02153
O -1.17430 0.61605 0.78182
C -4.32655 0.68315 2.68209
O -5.10240 0.77586 3.58649
N -3.11145 0.22148 2.81039
N -4.54685 1.21410 1.50875
H -2.99187 -0.34244 3.63972
H -2.41319 0.38004 2.09807
H -5.51942 1.43504 1.34936
H -3.78062 1.18941 0.85119
C -1.69023 1.35988 -3.16236
O -1.35898 0.31103 -3.67069
N -1.85538 2.48199 -3.76276
N -2.18350 1.37759 -1.96544
H -2.48927 3.04053 -3.20929
H -1.72568 2.68758 -4.74308
H -1.59656 0.96260 -1.25594
H -2.58074 2.24700 -1.63921
C 1.05656 4.19055 -0.28759
O 1.32149 5.21951 -0.91511
N 0.17902 3.32947 -0.66643
N 1.45452 3.89426 0.87328
H 0.03046 2.49416 -0.11847
H -0.28486 3.38709 -1.56175
H 1.70411 4.56738 1.58371
H 1.42047 2.92920 1.16928
C 3.91979 -2.82021 1.13884
O 3.29272 -1.82996 0.79034
N 3.72626 -3.91855 0.51929
N 4.85200 -2.80129 1.98451
H 3.21752 -3.98060 -0.35102
H 4.23046 -4.77326 0.70731
H 5.12463 -3.75433 2.17810
H 4.69274 -2.16345 2.75126
C -3.24089 -2.15691 -1.44857
O -4.12856 -2.86799 -1.76158
N -2.11760 -2.22627 -2.18490
N -3.18837 -1.36095 -0.36048
H -1.40651 -1.50917 -2.17038
H -1.99351 -2.89456 -2.93196
H -2.34300 -0.85881 -0.12962
H -4.05422 -1.35228 0.15944
C 3.26554 1.40605 -2.75374
O 3.40516 0.52237 -1.92786
N 2.23410 2.19712 -2.95975
N 4.22521 1.77368 -3.57464
H 2.44554 2.81553 -3.72978
H 1.37946 2.19481 -2.42154
H 5.05965 1.20634 -3.53069
H 3.97172 2.37133 -4.34837
C 1.69026 -2.18112 -2.93121
O 1.85809 -1.80586 -1.74829
N 0.95764 -1.57615 -3.83265
N 2.18800 -3.23370 -3.52756
H 0.44617 -0.74974 -3.55775
H 0.79780 -2.13761 -4.65684
H 2.71672 -3.80740 -2.88613
H 2.30928 -3.24250 -4.53021
C 0.90916 -0.06699 4.48355
O 1.25287 0.18511 5.60462
N 1.54298 -0.87801 3.70116
N -0.22762 0.18700 3.96423
H 1.27605 -0.75025 2.73548
H 2.46895 -1.23888 3.88131
H -0.34940 -0.29904 3.08727
H -0.98036 0.54124 4.53695
C -1.90149 3.99971 2.80640
O -2.33618 5.06762 3.13556
N -1.63181 3.00053 3.63831
N -1.92739 3.62619 1.56707
H -1.37917 2.21255 3.05918
H -2.03920 3.07039 4.55986
H -1.56250 2.77198 1.17049
H -2.26960 4.29067 0.88777
C -0.46683 -4.26313 0.34173
O -1.05681 -5.18700 -0.19765
N 0.27517 -4.31178 1.39963
N -0.64306 -3.05154 -0.01868
H 0.45188 -5.20849 1.82948
H 0.44260 -3.48026 1.94795
H -1.04910 -2.89698 -0.93046
H -0.20505 -2.22985 0.37255
*
Completed:
The expectation value of S² is 6.008. The HOMO energy (alpha / beta) comes out at -9.004 / -9.005 eV. For the energy relative to the best compared isomer or geometry (same formula, charge and spin), the calculation gives 0.000 eV.